The story of how the Lear Jet became qualified for flight into known icing conditions is not about Bill Lear but rather a handful of ingenious, dedicated and courageous employees.

The project was led by Frank Schick, a flight test engineer who had held a similar position for Boeing Vertol, before that my roommate in engineering school.

Initially, Frank put a tank of water in another test Lear Jet and used cabin pressure to pump water into the air stream. This system did not pump sufficient volume and there was no control over droplet size. Another approach was needed.

In nearby Hutchinson, Kansas, Rock Island Oil had several B-25's that were intended for conversion to high speed corporate aircraft. Si McDonald headed Rock Island's flight department and did not hesitate to get involved in a test program.

Frank, designed a grid of nozzles that would be lowered on a trapeze about 20 ft below the B-25. A water tank and a jet engine ground start unit was fitted in the B-25 bomb bay. The air turbine would be used to pump water through the nozzles. Si would fly the B-25.

Cecil Powers, an experimental mechanic would run the on board components which had to be one of the most uncomfortable jobs you can imagine. It was hot and noisy with the turbine on, cold and noisy with it off. After every flight, Cecil would stagger off the B-25 and vomit. But he never complained and would be ready to go for the next flight.

Jack Graham flew the test aircraft with Frank in the right seat. I pestered both of them to go on one of the flights. Frank was only too happy to let somebody else fly. Jack and I launched and joined up with the B-25 already airborne and waiting. Jack slid in about 20 yards behind the trapeze, the ride became extremely bumpy and I had to really cinch down on my seat belt.

We moved off to the side to allow Cecil to fire up the turbine and start pumping water. Then Jack eased into the vapor stream behind the nozzles. The purpose of the test was to see how well the windshield de-icing system would shed the ice. Now we were experiencing not only a bumpy ride, but we could not see out the windshield and that boom was just about 20 yards ahead of us.

The tests were extremely dangerous. Apart from the obvious, Si had the throttles of the B-25 jammed "balls to the wall" as they say. The tests needed to be conducted from a high altitude to get freezing temperatures, the trapeze had a lot of drag, and the speeds needed to be fairly high to be meaningful to test a jet aircraft. It was asking a lot for the WWII bomber. Had it lost power on even a single cylinder, it is not likely Jack could have avoided a collision with the boom. Neither the crew in the Lear Jet nor the crew in the B-25, wore parachutes.

- - -
## Li5SbS4 (PBE)

Data for crystalline Li5SbS4 at its relaxed geometry.

Output
E_tot in eV for the cell shown: -80.81
Formation energy from raw total energies in eV/atom: -1.02
Mass density in g/cm3: 2.5
Distance to the lowest polymorph of the same formula in eV/f.u.: 0.000

The structure in POSCAR format:
```
Li5SbS4
1.0
3.7932 -6.2437 0.0000
3.7932 6.2437 0.0000
0.0000 0.0000 7.8869
Li Sb S
10 2 8
direct
0.1185 0.2481 0.5893
0.1323 0.8677 0.5000
0.1568 0.4195 0.2973
0.2481 0.1185 0.0893
0.4195 0.1568 0.7973
0.5805 0.8432 0.2973
0.7519 0.8815 0.5893
0.8432 0.5805 0.7973
0.8677 0.1323 0.0000
0.8815 0.7519 0.0893
0.3363 0.6637 0.8737
0.6637 0.3363 0.3737
0.0177 0.5010 0.0436
0.0234 0.9766 0.8071
0.4797 0.5203 0.4919
0.4990 0.9823 0.0436
0.5010 0.0177 0.5436
0.5203 0.4797 0.9919
0.9766 0.0234 0.3071
0.9823 0.4990 0.5436
```

~~~~~

No. 1
First-principles (PBE-GGA) data for HfTaCo2 after structural relaxation, as listed in Alexandria via LeMat-Bulk.

Computed properties:
Formation energy from the elements ... 0.443 eV per atom
Size of the total moment ... 1.197 μB per formula unit
SG ... Pmma (51)
Crystal system ... orthorhombic

Cell lengths 4.7885, 4.9492, 12.0446 Å; angles 90.00, 90.00, 90.00 degrees
Last column: nearest neighbours and their distance in Å.
Element x y z (fractional)
Hf 0.2500 0.0000 0.0706  4 Co 2.88, 2 Hf 2.94, 2 Ta 2.95
Hf 0.2500 0.5000 0.4012  6 Co 2.66-2.87
Hf 0.7500 0.0000 0.9294  4 Co 2.88, 2 Hf 2.94, 2 Ta 2.95
Hf 0.7500 0.5000 0.5988  6 Co 2.66-2.87
Ta 0.2500 0.0000 0.7860  2 Co 2.41, 2 Ta 2.51
Ta 0.2500 0.5000 0.8216  4 Co 2.46-2.68, 2 Ta 2.51
Ta 0.7500 0.0000 0.2140  2 Co 2.41, 2 Ta 2.51
Ta 0.7500 0.5000 0.1784  4 Co 2.46-2.68, 2 Ta 2.51
Co 0.0000 0.0000 0.5000  6 Co 2.31-2.39
Co 0.0000 0.5000 0.0000  2 Co 2.39, 2 Ta 2.46
Co 0.2500 0.2714 0.6198  3 Co 2.26-2.31, 1 Ta 2.41
Co 0.2500 0.7286 0.6198  3 Co 2.26-2.31, 1 Ta 2.41
Co 0.5000 0.0000 0.5000  6 Co 2.31-2.39
Co 0.5000 0.5000 0.0000  2 Co 2.39, 2 Ta 2.46
Co 0.7500 0.2714 0.3802  3 Co 2.26-2.31, 1 Ta 2.41
Co 0.7500 0.7286 0.3802  3 Co 2.26-2.31, 1 Ta 2.41

No. 2
First-principles (PBE-GGA) data for Hf2TaCo2 after structural relaxation, as listed in Alexandria via LeMat-Bulk.

Computed properties:
Formation energy from the elements ... 0.203 eV per atom
Size of the total moment ... 0.000 μB per formula unit
SG ... I4/mmm (139)
Crystal system ... tetragonal

Cell lengths 3.2118, 3.2118, 16.8920 Å; angles 90.00, 90.00, 90.00 degrees
Last column: nearest neighbours and their distance in Å.
Element x y z (fractional)
Hf 0.0000 0.0000 0.1215  4 Co 2.70
Hf 0.0000 0.0000 0.8785  4 Co 2.70
Hf 0.5000 0.5000 0.3785  4 Co 2.70
Hf 0.5000 0.5000 0.6215  4 Co 2.70
Ta 0.0000 0.0000 0.5000  8 Hf 3.06, 4 Ta 3.21
Ta 0.5000 0.5000 0.0000  8 Hf 3.06, 4 Ta 3.21
Co 0.0000 0.5000 0.2500  4 Co 2.27
Co 0.0000 0.5000 0.7500  4 Co 2.27
Co 0.5000 0.0000 0.2500  4 Co 2.27
Co 0.5000 0.0000 0.7500  4 Co 2.27

No. 3
- - -
### The records of crystals stop here

The B-25 tests plus some flights into natural icing completed the tests for certification. Luckily, there were no mishaps in the program and everybody would live to fly another day.